Best Speaker Level for Audio Editing?

MadMaverick wrote on 5/17/2016, 3:48 AM
So I have some Mackie CR3 Multimedia Monitors like these:

A few members on here spoke highly of them, and I decided to purchase them sense I needed some high quality, yet affordable sound monitors for editing and whatnot. I'm quite pleased with them. The quality is great, and they're very loud.

This kinda threw me off with my sound editing, since there's a drastic contrast when it comes to these monitors, and the speakers I was using before, which were just cheap ones that came with my computer. I always figured that most people viewing my work (on YouTube) would probably have basic speakers like these, and that as long as it sounded good on mine, then it should sound good on theirs, as well as on their smartphones or tablets.

I'd have the knob on my old speakers turned half way, and that's the level I'd keep it for audio editing. With these new monitors of mine though, everything is so loud, and that's great. I'm not complaining. It's just that I'm not sure what level to have them set on when editing.

If I have the knob turned half way with these, everything is so loud. I usually barely even have to turn the knob all that far to hear music or videos with these. So how far over do you guys usually turn your knobs? Do you go nice and deep? ...okay, I was just messing with you with that last sentence lol.

Also, I've always found sound levels in video to be something of a headache. I always have trouble deciding how high or low different audio should be, and it's always seemed like I could never get it QUITE right. I guess this kinda thing depends on the ear of the beholder, but any tips here would be appreciated.

I've asked this on a separate video forum before, and was told that there's just too many variables to say "speech should be at this level and music at this level".

Another member used these basic guidelines:
"Spoken word peaking at 6db and siting between 12db to 6db.
When you have a spoken word with music try keeping music to between 18db to 24db or less.
When you have just music try keeping peaking at between 12db and 6bd or less.
With mixing audio it's a must to keep everything flowing with out jumps from one source of audio to another.
By keeping the spoken word peaking at 6db this gives you a bit of head room to move up 3db if required.
Also by using this as a guide this is easier to get a mix together.
Adding more tracks containing audio adds to the overall sound energy that is present. More tracks = more dbs."

~~~
For Li4Mn8O9F7, the PBE+U geometry in Alexandria gives the simulated X-ray powder pattern in this record (λ = 1.5418 Å (Cu Kα)).
No peak broadening, texture or thermal motion is included.

Crystal structure
Lattice parameters (Å, degrees): 5.8427 6.2105 10.9195 75.08 74.73 62.41
Atoms (fractional coordinates):
Li: 0.0000 0.0000 0.0000
Li: 0.0893 0.2285 0.6019
Li: 0.4960 0.5026 0.5010
Li: 0.6135 0.7093 0.1120
Mn: 0.0356 0.1322 0.2939
Mn: 0.0425 0.6090 0.2980
Mn: 0.0483 0.6133 0.7997
Mn: 0.2821 0.3747 0.0543
Mn: 0.5432 0.1127 0.3011
Mn: 0.5456 0.1125 0.8037
Mn: 0.5487 0.6121 0.8005
Mn: 0.7939 0.8652 0.5503
O: 0.1770 0.2662 0.3924
O: 0.2046 0.6925 0.9106
O: 0.3875 0.0342 0.1917
O: 0.4095 0.4813 0.7056
O: 0.6887 0.7427 0.8942
O: 0.7032 0.1888 0.4117
O: 0.8909 0.5383 0.6869
O: 0.9125 0.9589 0.2121
O: 0.9354 0.5044 0.1861
F: 0.1702 0.2215 0.9320
F: 0.1719 0.7035 0.4226
F: 0.4112 0.0080 0.6687
F: 0.4378 0.4938 0.1757
F: 0.6607 0.7277 0.4329
F: 0.6744 0.2245 0.9354
F: 0.9200 0.0080 0.6681

Top 10 peaks for 2θ = 5–70°, in order of rising 2θ:
d 5.200, I 63, hkl 0 0 2
d 5.164, I 54, hkl 0 1 1
d 4.910, I 100, hkl 1 1 0
d 2.733, I 18, hkl 0 1 -3
d 2.717, I 16, hkl 0 2 0
d 2.664, I 26, hkl -1 1 2
d 2.266, I 55, hkl 0 2 -2
d 2.152, I 46, hkl 2 0 -2
d 2.137, I 45, hkl 2 2 4
d 1.561, I 30, hkl 2 0 6

* * * * *

No. 1
Calculated XRD peak list of NbV2CdO8 for CuKα, from a structure optimized by DFT (GGA+U).
No peak broadening, texture or thermal motion is included.

Atomic structure:
a = 6.9109 Å, b = 6.9109 Å, c = 6.3019 Å
α = 90.00°, β = 90.00°, γ = 90.00°
Space group I-4m2 (No. 119)
Asymmetric unit:
Nb 0.0000 0.0000 0.0000 (multiplicity 2)
V 0.0000 0.0000 0.5000 (multiplicity 2)
V 0.0000 0.5000 0.7500 (multiplicity 2)
Cd 0.0000 0.5000 0.2500 (multiplicity 2)
O 0.0000 0.1809 0.3083 (multiplicity 8)
O 0.0000 0.2868 0.9188 (multiplicity 8)

Principal peaks in the range 15 to 90 degrees two-theta, in order of rising 2θ:
(1 0 1), 19.1°, rel. 23.7
(2 0 0), 25.8°, rel. 100.0
(1 1 2), 33.8°, rel. 71.7
(2 2 0), 36.8°, rel. 15.6
(3 0 1), 41.7°, rel. 11.0
(3 1 2), 50.8°, rel. 58.4
(4 0 0), 53.0°, rel. 17.2
(4 2 0), 59.9°, rel. 12.6
(3 3 2), 64.4°, rel. 17.1
(2 0 4), 65.1°, rel. 11.8
(5 1 2), 76.5°, rel. 11.2
(4 2 4), 88.7°, rel. 10.2

=====

No. 2
Calculated XRD peak list of NbCdWO6 for CuKα, from a structure optimized by DFT (GGA+U).
No peak broadening, texture or thermal motion is included.

Atomic structure:
a = 4.9668 Å, b = 4.9668 Å, c = 9.4843 Å
α = 90.00°, β = 90.00°, γ = 90.00°
Space group P4_2nm (No. 102)
Asymmetric unit:
Nb 0.0000 0.0000 0.0000 (multiplicity 2)
~~~

Let me know if you agree with his guide or not, and what methods you use. Also, feel free to share any tips or advice. Thank you.


rraud wrote on 5/17/2016, 9:14 AM
Are you asking about your monitor volume in your speakers or the program level of your finished video.. or both? Best answer: 'it depends'. Generally the monitor volume should stay the same. deepening if it's for a theatrical release or Web streaming DVD or Bluray. Program level for the discs and web are 'recommended' to be -16 to -18 LUFS (integrated). Broadcast TV (USA) uses the ATSC A/85 loudness standard ( -24 LUFS), In my experience, this is usually strictly enforced and anything out of spec is rejected (and embarrassing).
Monitor volume is usually set to 85dB SPL C-rated @ -20dBFS using pink noise... however, I prefer 75dB SPL for TV and such. BlueSky has calibration level files available on their website.
Check out the ATSC A/85 standards and recommended practices... or the EBU R128 (European) standard if your on that side of the pond
Nothing will sound the same on 'all' PB systems. The best we can do is check the mixes on multiple systems and make some compromises.

musicvid10 wrote on 5/28/2016, 3:59 PM
Apple's audio specs for the web are almost exactly 6 dB louder than US long-form A85 specs, or -18 LKFS.

That's as close as we have to a benchmark for the web, since the only real limitation is peaks not greater than -1 dBFS. You can nudge that ceiling a bit if you are using TPFS (true peak metering), but of course with very much limiting and compression, that gets to be way to loud for many people.

Just pointing out, if one mixes at -24 LKFS, it will meet both US and EU128 broadcast requirements, 100% in my experience.